Floyd Brown


(WHW) White House Watch

(P.O. Box 96442, Washington, D.C. 20090-6442)

Project of Policy Issues Institute, 5405 Alton Pkwy., Suite 5A #369, Irvine, CA 92604

www.TheWhiteHouseWatch.com; ph# (202) 558-6491




Dear Patriot,


...I am declaring a FEDERATED ALERT and asking all members to act with urgency. I am taking this action because I am tired of Barack Obama's lies.


I am disgusted by the Obama White House's evasions and manipulations. And I am outraged by Barack Obama's well-crafted scheming and excuses.

~~~
Structure and theoretical powder XRD pattern of Ce2PaIrN4 (a DFT-relaxed cell (PBE, Alexandria); Cu Kα).

The 6 most intense peaks (2θ = 15–90°), low angle first:
d (Å)  2θ (°)  I (rel.)  hkl
3.038  29.40  70.5  2 0 0
3.026  29.52  33.6  0 0 2
2.145  42.12  100.0  2 0 2
1.752  52.22  30.8  2 2 2
1.358  69.17  28.3  4 2 0
1.240  76.92  21.3  4 2 2

```
data_Ce2PaIrN4
_cell_length_a 6.0765
_cell_length_b 6.0765
_cell_length_c 6.0512
_cell_angle_alpha 90.00
_cell_angle_beta 90.00
_cell_angle_gamma 90.00
_space_group_name_H-M_alt 'I -4 2 m'
_space_group_IT_number 121
_space_group_name_Hall 'I -4 2'
loop_
_atom_site_label
_atom_site_fract_x
_atom_site_fract_y
_atom_site_fract_z
Ce1 0.0000 0.5000 0.0000
Pa1 0.0000 0.0000 0.0000
Ir1 0.0000 0.0000 0.5000
N1 0.1895 0.1895 0.2769
```

* * * * *

No. 1
This entry pairs a crystal structure of Li2As2PbO7 with its theoretical powder XRD pattern. Radiation: Cu Kα (λ = 1.5418 Å). Structure: the PBE geometry in Alexandria.
Intensities are scaled so that the largest is 100.

Principal peaks in the range 5° ≤ 2θ ≤ 70°, most intense first:
2θ/deg, Rel. int., h k l
20.12, 100, 0 1 2
26.81, 56, 0 1 5
11.45, 46, 0 0 3
32.50, 42, 1 1 0
32.92, 40, 1 0 7
58.29, 30, 1 1 12
24.16, 21, 1 0 4
38.52, 20, 2 0 2
48.38, 18, 1 1 9
51.26, 16, 1 2 2

Structural model:
```
data_Li2As2PbO7
_chemical_formula_sum 'Li6 As6 Pb3 O21'
_space_group_name_H-M_alt 'R 3 2'
_space_group_IT_number 155
_space_group_name_Hall 'R 3 2"'
_cell_length_a 5.5105
_cell_length_b 5.5105
_cell_length_c 23.1801
_cell_angle_alpha 90.00
_cell_angle_beta 90.00
_cell_angle_gamma 120.00
loop_
_atom_site_label
_atom_site_type_symbol
_atom_site_fract_x
_atom_site_fract_y
_atom_site_fract_z
Li1 Li 0.0000 0.0000 0.2493
As1 As 0.0000 0.0000 0.4237
Pb1 Pb 0.0000 0.0000 0.0000
O1 O 0.0000 0.0000 0.5000
O2 O 0.0204 0.3063 0.4031
```

***

No. 2
This entry pairs a crystal structure of SrU3S6 with its theoretical powder XRD pattern. Radiation: Cu Kα (λ = 1.5418 Å). Structure: the PBE geometry in Alexandria.
Intensities are scaled so that the largest is 100.

Principal peaks in the range 5° ≤ 2θ ≤ 70°, most intense first:
2θ/deg, Rel. int., h k l
25.89, 100, 1 1 1
23.29, 74, 1 0 -3
24.38, 61, 3 0 -1
27.21, 59, 2 0 2
27.95, 45, 2 1 0
36.30, 40, 1 1 3
44.80, 34, 0 2 0
29.57, 33, 2 1 -2
8.51, 32, 1 0 0
47.53, 27, 5 1 -1

Structural model:
```
data_SrU3S6
_chemical_formula_sum 'Sr2 U6 S12'
_space_group_name_H-M_alt 'P 1 21/m 1'
_space_group_IT_number 11
_space_group_name_Hall '-P 2yb'
_cell_length_a 10.9550
_cell_length_b 4.0457
_cell_length_c 11.4660
_cell_angle_alpha 90.00
_cell_angle_beta 108.46
_cell_angle_gamma 90.00
loop_
_atom_site_label
_atom_site_type_symbol
_atom_site_fract_x
_atom_site_fract_y
_atom_site_fract_z
Sr1 Sr 0.0856 0.2500 0.1952
U1 U 0.1599 0.2500 0.5713
U2 U 0.3126 0.7500 0.9895
U3 U 0.4953 0.2500 0.3312
S1 S 0.0772 0.7500 0.3980
S2 S 0.1272 0.2500 0.9425
S3 S 0.2570 0.7500 0.7257
S4 S 0.3091 0.7500 0.2317
S5 S 0.3764 0.2500 0.5116
~~~


The time is now – Barack Obama must not be allowed to escape Impeachment any longer... That is why I am sending you the [requested] enclosed HIGH CRIMES AND MISDEMEANORS BALLOT for delivery to the U.S. House Judiciary Committee.


At this point, it seems clear that Barack Obama has indeed committed "high crimes and misdemeanors" as specified in the U.S. Constitution as grounds for the Impeachment of the President of the United States of America...


...through violating the War Powers Act, the Hatch Act, refusing to defend our borders, nationalizing the banks and arming terrorists enemies of our nation...


...these high crimes make Bill Clinton's sexual escapades and lies look like nothing.


Because what Barack Obama has done through his abuse of power, corruption and disregard for the U.S. Constitution has destroyed our economy, dismantled our democracy and denigrated our nation's standing in the world... (1)


With the Obama Political Machine in full gear and ready to smear any and all who speak out against the lies and corruption of the White House – I am urging you to move with urgency...


I want to bundle your BALLOT with hundreds of thousands of others – perhaps even one million – making it clear that the American people have had enough.


I want the House Judiciary Committee to have no choice but to take action in moving forward with Impeachment because it is the demand of the American people.


And I want the national media to report that BALLOTS are flooding in to Congress – the American people have issued a mandate... even in the face of the lies and intimidation from the White House.


Because right now Barack Obama seems to think that he is above the law.


And despite the fact that millions of dollars have rolled into the liberals coffers to push Barack Obama's radical agenda any way possible while hiding the truth from the American people – YOU AND I MUST BE READY TO EXPOSE THE TRUTH.


As Congress evaluates whether or not to move on Impeachment – they need to know where you stand NOW.


I plan on deluging Chairman Bob Goodlatte of the U.S. House Judiciary Committee with White House Watch BALLOTS.


Let me be clear – Congressman Goodlatte has been considering whether to begin Impeachment proceedings for quite some time. But he has not been able to move forward quite yet.


He cannot move forward until there is proof that this action is warranted and wanted by the majority of the American people.


By now, it is clear that Barack Obama seems to have committed "high crimes and misdemeanors":


>   In initiating military action in Libya, Barack Obama has clearly violated the War Powers Act and even members of his own Party have been outraged, calling for sanctioning or Impeachment. Meanwhile, his Administration's actions of covering-up the terrorist attack on Benghazi must be exposed and those responsible for lying to the American people brought to justice.


>   In approving ATF operation "Fast and Furious," (1) the Obama Administration actually armed terrorist enemies of the United States of America, resulting in the loss of both Mexican and American lives. This clearly violates the Arms Control Export Act.

== Unrelated to this page: records of crystals ==
Computed PXRD pattern of Sc4Re5 for Cu Kα, 1.54184 Å, from a structure optimized by DFT (PBE).
No peak broadening, texture or thermal motion is included.

Atomic structure:
```
Sc4Re5
1.0
-4.930 4.930 1.587
4.930 -4.930 1.587
4.930 4.930 -1.587
Sc Re
4 5
direct
0.000 0.312 0.312
0.000 0.688 0.688
0.312 0.000 0.312
0.688 0.000 0.688
0.000 0.000 0.000
0.333 0.333 0.666
0.333 0.667 0.000
0.667 0.333 0.000
0.667 0.667 0.334
```

The 6 most intense peaks (2θ from 10° to 90°), sorted by position:
12.7 deg, intensity 55; 34.8 deg, intensity 17; 38.7 deg, intensity 52; 39.5 deg, intensity 100; 56.0 deg, intensity 17; 70.6 deg, intensity 34
== Back to the page ==


>   In refusing to enforce immigration law in Arizona and New Mexico and refusing to protect the border, Barack Obama has violated his Oath of Office and jeopardized American lives.


>   In revealing covert CIA operations and terrorist interrogation techniques during his reelection campaign, Barack Obama's Administration endangered the lives Of countless intelligence agents in the field and compromised our intelligence operations – acting against the best interests of our nation and jeopardizing national security.

What comes next are calculated crystals, not part of the article
+++
Entry 1:
Theoretical PXRD pattern
Compound: PBr5
Radiation: CuKα
Structure: a cell relaxed with PBE

```
PBr5
1.0
6.1044 0.0000 0.0000
0.0000 18.2182 0.0000
0.0000 0.0000 8.5948
P Br
4 20
Direct
0.0464 0.1356 0.2500 P
0.0464 0.3644 0.7500 P
0.9536 0.6356 0.2500 P
0.9536 0.8644 0.7500 P
0.1619 0.6355 0.0382 Br
0.1619 0.6355 0.4618 Br
0.1619 0.8645 0.5382 Br
0.1619 0.8645 0.9618 Br
0.2448 0.0344 0.2500 Br
0.2448 0.4656 0.7500 Br
0.2626 0.2333 0.2500 Br
0.2626 0.2667 0.7500 Br
0.4496 0.6266 0.7500 Br
0.4496 0.8734 0.2500 Br
0.5504 0.1266 0.7500 Br
0.5504 0.3734 0.2500 Br
0.7374 0.7333 0.2500 Br
0.7374 0.7667 0.7500 Br
0.7552 0.5344 0.2500 Br
0.7552 0.9656 0.7500 Br
0.8381 0.1355 0.0382 Br
0.8381 0.1355 0.4618 Br
0.8381 0.3645 0.5382 Br
0.8381 0.3645 0.9618 Br
```

The 8 most intense peaks (2θ = 10–90°), by angle:
2θ 18.48, intensity 47
2θ 19.49, intensity 26
2θ 20.33, intensity 76
2θ 20.65, intensity 50
2θ 25.82, intensity 83
2θ 28.54, intensity 100
2θ 34.94, intensity 34
2θ 41.35, intensity 55

=====

Entry 2:
Theoretical PXRD pattern
Compound: P3Br
Radiation: CuKα
Structure: a cell relaxed with PBE

```
P3Br
1.0
4.5841 0.0000 0.0000
0.0000 3.4721 0.0000
-1.4906 0.0000 5.0908
P Br
3 1
Direct
0.0000 0.0000 0.0000 P
0.3775 0.5000 0.1408 P
0.6225 0.5000 0.8592 P
0.0000 0.0000 0.5000 Br
```

The 8 most intense peaks (2θ = 10–90°), by angle:
2θ 20.18, intensity 32
2θ 30.36, intensity 32
2θ 31.18, intensity 38
2θ 32.86, intensity 100
2θ 35.43, intensity 44
2θ 44.11, intensity 27
2θ 53.35, intensity 20
2θ 53.73, intensity 28

=====

Entry 3:
Theoretical PXRD pattern
Compound: PBr3
Radiation: CuKα
Structure: a cell relaxed with PBE

```
PBr3
1.0
5.0346 0.0000 0.0000
0.0000 10.1479 0.0000
0.0000 0.0000 7.8477
P Br
2 6
Direct
0.2500 0.2500 0.1466 P
0.7500 0.7500 0.8534 P
0.2500 0.0780 0.3235 Br
0.2500 0.4220 0.3235 Br
0.2500 0.7500 0.9298 Br
0.7500 0.2500 0.0702 Br
0.7500 0.5780 0.6765 Br
0.7500 0.9220 0.6765 Br
```

The 8 most intense peaks (2θ = 10–90°), by angle:
2θ 14.27, intensity 100
2θ 20.85, intensity 44
2θ 20.96, intensity 45
2θ 22.73, intensity 34
2θ 28.85, intensity 29
2θ 31.87, intensity 37
2θ 35.02, intensity 31
2θ 35.67, intensity 23

=====

Entry 4:
Theoretical PXRD pattern
Compound: PaPS4Br
Radiation: CuKα
Structure: a cell relaxed with PBE

```
PaPS4Br
1.0
5.6538 -4.2258 0.0000
5.6538 4.2258 0.0000
-2.2357 0.0000 7.6320
Pa P S Br
2 2 8 2
Direct
0.2239 0.2239 0.1141 Pa
0.7761 0.7761 0.8859 Pa
0.3627 0.3627 0.7137 P
0.6373 0.6373 0.2863 P
0.1354 0.4929 0.8853 S
0.2328 0.2328 0.4780 S
0.4597 0.4597 0.3029 S
0.4929 0.1354 0.8853 S
0.5071 0.8646 0.1147 S
0.5403 0.5403 0.6971 S
0.7672 0.7672 0.5220 S
0.8646 0.5071 0.1147 S
0.0188 0.0188 0.7974 Br
0.9812 0.9812 0.2026 Br
```

The 8 most intense peaks (2θ = 10–90°), by angle:
2θ 11.59, intensity 100
2θ 16.07, intensity 68
2θ 16.34, intensity 46
2θ 21.02, intensity 98
2θ 22.62, intensity 31
2θ 30.76, intensity 48
2θ 40.06, intensity 28
2θ 50.80, intensity 30

=====

Entry 5:
Theoretical PXRD pattern
+++


>   In choosing to move forward in implementing ObamaCare, Barack Obama is putting the Medicare of millions of seniors on a fast track to bankruptcy.


Yes, Impeachment is warranted. But Chairman Bob Goodlatte can only move forward if he shows that the call for Impeachment is not coming from a radical right-wing fringe element... but from the majority of Americans.


This could be the most important BALLOT you cast this year – the future of our nation must be decided NOW – we cannot wait another day, month or year.


Barack Obama must not be allowed to replace political rhetoric as a substitute for the truth and law.


Please do not let another minute go by without justice. [Request for and] Complete your White House Watch HIGH CRIMES AND MISDEMEANORS BALLOT and return it...


And please be sure to include your generous and urgently needed contribution to White House Watch – every penny is needed in this fight. I am counting on your urgent response and generous contribution of $60 – whatever you can manage.


Thank you for your commitment... you and l cannot afford to allow the lies and corruption of Barack Obama to Continue.


Awaiting your urgent response,

Floyd Brown, Chairman


[Please request for "HIGH CRIMES AND MISDEMEANORS BALLOT"(WHW, P.O. Box 96442, Washington, D.C. 20090-6442)!]




(Sample Ballot)



Please carefully read and answer each question based on your understanding of the facts and complete your ballot in its entirety. Thank you!


Do you believe that there is sufficient evidence to Impeach Barack Obama based on the apparent abuses of power, corruption and illegalities that have been uncovered?

[ ]yes                    [ ]no


Do you believe that Barack Obama should be brought to justice for his disregard for the U.S. Constitution, and willful destruction of the U.S. economy through political paybacks and collusion?

[ ]yes                    [ ]no


Do you support the U.S. House Judiciary Committee in initiating Impeachment proceedings immediately?

[ ]yes                    [ ]no